Exercise =
Search the calculation results further below for the word "charge" and type out each line that has it, please.
Input =
********
{"formula": "C2H7BO2S", "method": "ωB97M-V/def2-TZVPD", "de_lowest_kcal_mol": 61.8, "smiles": "[H][H].COB=S.C=O", "e_tot_ha": -653.892765, "charge": 0, "homo_lumo_gap_ha": 0.3739, "species": ["S", "O", "O", "C", "C", "B", "H", "H", "H", "H", "H", "H", "H"], "coordinates": [[2.3365, -0.5239, -1.5552], [-0.1627, 0.6611, -2.3227], [0.0583, 0.3463, 1.5837], [1.2162, 0.0722, 1.6991], [-1.3568, 0.7015, -1.6467], [0.9236, 0.2144, -1.8235], [-1.2940, 1.2428, -0.7061], [2.0863, 0.6266, 1.3199], [-5.6205, -0.5954, -0.4388], [-5.4804, 0.0552, -0.0980], [1.5150, -0.8947, 2.2218], [-2.1625, 1.2237, -2.2367], [-1.5853, -0.3269, -1.3870]], "atomic_forces_ev_per_a": [[0.431, -0.041, 0.455], [0.474, 1.204, -1.190], [-0.134, 0.575, -0.309], [0.636, -1.794, 0.748], [-2.677, 0.420, 0.971], [1.296, -0.788, -0.492], [0.282, 0.153, 0.105], [-0.306, 0.497, -0.163], [0.045, 0.196, 0.099], [-0.040, -0.195, -0.101], [-0.209, 0.740, -0.314], [0.969, -0.901, 0.274], [-0.767, -0.065, -0.083]]}

{"formula": "C2H7BO3", "method": "ωB97M-V/def2-TZVPD", "de_lowest_kcal_mol": 107.1, "smiles": "CC(O)(O)BO", "e_tot_ha": -330.947550, "charge": 0, "homo_lumo_gap_ha": 0.3857, "species": ["O", "O", "O", "C", "C", "B", "H", "H", "H", "H", "H", "H", "H"], "coordinates": [[0.3159, 1.5692, 0.7198], [1.4663, 0.6979, -1.1183], [-2.0132, 0.1581, 0.2657], [0.7232, -0.8744, 0.6194], [0.3993, 0.4702, -0.1355], [-1.2252, 0.3075, -0.8353], [0.5585, 1.3203, 1.6786], [-2.8700, -0.1145, -0.0402], [1.8311, -0.7807, 1.0875], [-1.9349, 0.3628, -1.9921], [0.6721, -1.5691, -0.2495], [0.0048, -1.3783, 1.3866], [2.3756, 0.6380, -0.7402]], "atomic_forces_ev_per_a": [[0.542, -0.110, 2.351], [-0.766, -0.353, 0.696], [0.357, -0.367, -0.557], [0.841, -0.503, 0.136], [-0.262, -0.864, -0.856], [0.591, 0.724, 0.007], [-0.542, 0.406, -2.389], [-0.921, 0.052, 0.147], [-2.480, -0.441, -1.125], [2.017, -0.209, 1.865], [0.805, -0.046, 0.775], [1.049, 1.703, -1.159], [-1.231, 0.007, 0.109]]}

{"formula": "C2H7BrN", "method": "ωB97M-V/def2-TZVPD", "de_lowest_kcal_mol": 4.3, "smiles": "C[NH2+]CBr", "e_tot_ha": -2708.880774, "charge": 1, "homo_lumo_gap_ha": 0.4184, "species": ["Br", "N", "C", "C", "H", "H", "H", "H", "H", "H", "H"], "coordinates": [[3.2097, 0.0046, -0.2950], [0.5205, 0.5104, -0.0448], [-0.9424, 0.2165, 0.1049], [1.4120, -0.6762, -0.0094], [0.9567, 1.1180, 0.6737], [-1.1981, -0.4353, -0.7806], [1.4468, -1.4490, 0.8112], [1.0717, -1.2495, -0.8446], [-1.4974, 1.1811, -0.0457], [0.8011, 1.0192, -0.9395], [-1.0724, -0.4570, 0.9518]], "atomic_forces_ev_per_a": [[-0.458, -0.345, 0.060], [1.579, 0.925, 0.551], [-0.155, -0.281, -2.240], [0.914, -1.454, -0.613], [-1.016, 0.115, -0.019], [0.233, 0.764, 0.739], [-0.602, 1.784, -0.030], [0.336, -0.447, -0.849], [0.319, -1.137, 0.930], [-0.855, -0.798, 1.074], [-0.295, 0.874, 0.397]]}

{"formula": "C2H7BrNO", "method": "ωB97M-V/def2-TZVPD", "de_lowest_kcal_mol": 40.8, "e_tot_ha": -2784.076260, "charge": 1, "homo_lumo_gap_ha": 0.3125, "species": ["Br", "O", "N", "C", "C", "H", "H", "H", "H", "H", "H", "H"], "coordinates": [[-0.3976, 0.9461, 2.3361], [-1.6246, 0.0936, -0.7703], [0.6795, -1.0953, 0.2615], [-0.5715, 0.7873, -0.6075], [0.7264, 0.0629, -0.6644], [-0.5368, 1.9060, -0.4329], [1.5607, -1.5965, 0.0772], [-2.3892, 0.5486, -0.4262], [0.1918, -0.3041, 2.1400], [1.5773, 0.7724, -0.3741], [-0.0807, -1.6351, 0.0236], [0.8648, -0.4858, -1.5630]], "atomic_forces_ev_per_a": [[-0.601, 1.163, 0.213], [0.983, 0.084, 0.337], [2.831, 1.503, 0.928], [1.386, 0.700, 0.447], [0.608, 0.621, 1.717], [-0.692, -1.342, -0.364], [-0.794, -0.119, 0.336], [-1.269, 0.537, -0.123], [0.470, -0.875, -0.295], [-1.240, -1.090, -0.693], [-1.842, -1.928, -0.632], [0.160, 0.745, -1.870]]}
********
Completed =
{"formula": "C2H7BO2S", "method": "ωB97M-V/def2-TZVPD", "de_lowest_kcal_mol": 61.8, "smiles": "[H][H].COB=S.C=O", "e_tot_ha": -653.892765, "charge": 0, "homo_lumo_gap_ha": 0.3739, "species": ["S", "O", "O", "C", "C", "B", "H", "H", "H", "H", "H", "H", "H"], "coordinates": [[2.3365, -0.5239, -1.5552], [-0.1627, 0.6611, -2.3227], [0.0583, 0.3463, 1.5837], [1.2162, 0.0722, 1.6991], [-1.3568, 0.7015, -1.6467], [0.9236, 0.2144, -1.8235], [-1.2940, 1.2428, -0.7061], [2.0863, 0.6266, 1.3199], [-5.6205, -0.5954, -0.4388], [-5.4804, 0.0552, -0.0980], [1.5150, -0.8947, 2.2218], [-2.1625, 1.2237, -2.2367], [-1.5853, -0.3269, -1.3870]], "atomic_forces_ev_per_a": [[0.431, -0.041, 0.455], [0.474, 1.204, -1.190], [-0.134, 0.575, -0.309], [0.636, -1.794, 0.748], [-2.677, 0.420, 0.971], [1.296, -0.788, -0.492], [0.282, 0.153, 0.105], [-0.306, 0.497, -0.163], [0.045, 0.196, 0.099], [-0.040, -0.195, -0.101], [-0.209, 0.740, -0.314], [0.969, -0.901, 0.274], [-0.767, -0.065, -0.083]]}
{"formula": "C2H7BO3", "method": "ωB97M-V/def2-TZVPD", "de_lowest_kcal_mol": 107.1, "smiles": "CC(O)(O)BO", "e_tot_ha": -330.947550, "charge": 0, "homo_lumo_gap_ha": 0.3857, "species": ["O", "O", "O", "C", "C", "B", "H", "H", "H", "H", "H", "H", "H"], "coordinates": [[0.3159, 1.5692, 0.7198], [1.4663, 0.6979, -1.1183], [-2.0132, 0.1581, 0.2657], [0.7232, -0.8744, 0.6194], [0.3993, 0.4702, -0.1355], [-1.2252, 0.3075, -0.8353], [0.5585, 1.3203, 1.6786], [-2.8700, -0.1145, -0.0402], [1.8311, -0.7807, 1.0875], [-1.9349, 0.3628, -1.9921], [0.6721, -1.5691, -0.2495], [0.0048, -1.3783, 1.3866], [2.3756, 0.6380, -0.7402]], "atomic_forces_ev_per_a": [[0.542, -0.110, 2.351], [-0.766, -0.353, 0.696], [0.357, -0.367, -0.557], [0.841, -0.503, 0.136], [-0.262, -0.864, -0.856], [0.591, 0.724, 0.007], [-0.542, 0.406, -2.389], [-0.921, 0.052, 0.147], [-2.480, -0.441, -1.125], [2.017, -0.209, 1.865], [0.805, -0.046, 0.775], [1.049, 1.703, -1.159], [-1.231, 0.007, 0.109]]}
{"formula": "C2H7BrN", "method": "ωB97M-V/def2-TZVPD", "de_lowest_kcal_mol": 4.3, "smiles": "C[NH2+]CBr", "e_tot_ha": -2708.880774, "charge": 1, "homo_lumo_gap_ha": 0.4184, "species": ["Br", "N", "C", "C", "H", "H", "H", "H", "H", "H", "H"], "coordinates": [[3.2097, 0.0046, -0.2950], [0.5205, 0.5104, -0.0448], [-0.9424, 0.2165, 0.1049], [1.4120, -0.6762, -0.0094], [0.9567, 1.1180, 0.6737], [-1.1981, -0.4353, -0.7806], [1.4468, -1.4490, 0.8112], [1.0717, -1.2495, -0.8446], [-1.4974, 1.1811, -0.0457], [0.8011, 1.0192, -0.9395], [-1.0724, -0.4570, 0.9518]], "atomic_forces_ev_per_a": [[-0.458, -0.345, 0.060], [1.579, 0.925, 0.551], [-0.155, -0.281, -2.240], [0.914, -1.454, -0.613], [-1.016, 0.115, -0.019], [0.233, 0.764, 0.739], [-0.602, 1.784, -0.030], [0.336, -0.447, -0.849], [0.319, -1.137, 0.930], [-0.855, -0.798, 1.074], [-0.295, 0.874, 0.397]]}
{"formula": "C2H7BrNO", "method": "ωB97M-V/def2-TZVPD", "de_lowest_kcal_mol": 40.8, "e_tot_ha": -2784.076260, "charge": 1, "homo_lumo_gap_ha": 0.3125, "species": ["Br", "O", "N", "C", "C", "H", "H", "H", "H", "H", "H", "H"], "coordinates": [[-0.3976, 0.9461, 2.3361], [-1.6246, 0.0936, -0.7703], [0.6795, -1.0953, 0.2615], [-0.5715, 0.7873, -0.6075], [0.7264, 0.0629, -0.6644], [-0.5368, 1.9060, -0.4329], [1.5607, -1.5965, 0.0772], [-2.3892, 0.5486, -0.4262], [0.1918, -0.3041, 2.1400], [1.5773, 0.7724, -0.3741], [-0.0807, -1.6351, 0.0236], [0.8648, -0.4858, -1.5630]], "atomic_forces_ev_per_a": [[-0.601, 1.163, 0.213], [0.983, 0.084, 0.337], [2.831, 1.503, 0.928], [1.386, 0.700, 0.447], [0.608, 0.621, 1.717], [-0.692, -1.342, -0.364], [-0.794, -0.119, 0.336], [-1.269, 0.537, -0.123], [0.470, -0.875, -0.295], [-1.240, -1.090, -0.693], [-1.842, -1.928, -0.632], [0.160, 0.745, -1.870]]}